
Monday, September 27, 2010

Lens Pets and their bigger siblings...

I know it's pretty hard to tell just by looking at a screen how big or small something might be, even when all the info is in the description. There have been a few issues recently with customers purchasing the standard size Lens Pets and finding they don't fit once it arrives. The first thing I want to make sure everyone knows is that I am ALWAYS happy to exchange/return/re-make an order if it arrives and you find you don't like it, it doesn't fit, etc. I will do whatever I need to do to make my customers happy. :) I am very easily accessible and I reply to messages very quickly in most cases, unless I'm sleeping. Not only do I respond to queries on FB and Etsy but my email is posted here on my blog (under the CONTACT ME tab), on my FB page (under the info tab) and in my Etsy profile. It's not hard to find me. So please, please, please let me know if you're unhappy with anything. Because I will do my very best to make it right! :)

That said, I wanted to officially introduce everyone to the LARGE Lens Pets. There is a section for the big guys in my shop plus an upgrade option that can be used to order any of the pets NOT in the large section, but I'm afraid some people don't notice it there. So I thought this would be a good way to get the word out. :)

The difference between buying a standard Lens Pet and buying a large Lens Pet is this:

STANDARD ----------VS---------- LARGE
  • standard pets are made using a (new) store bought hair scrunchie
  • large pets are made using fabric and elastic... I sew them myself creating a much larger version of the 'hair scrunchie'.
  • standard pets fit well on lenses up to the basic 50mm (I use a Tamron 28-80mm lens for all of the pictures in my shop)
  • large pets will fit that same 50mm but have a lot more fabric and stretch so they will also fit the bigger lenses and lens hoods that professional photographers may use
  • bells are the only add on that will work with all of the standard pets
  • large pets have the option to add a squeaker, a music button and/or a bell... the squeaker and music button will be put inside the body of the lens pets and are hidden in the fabric.
Some photos for comparison... large on the left, standard on the right. The same camera and lens are used for all of the pictures (Nikon N65 with Tamron 28-80 lens).

ALL of my standard Lens Pets can be upgraded to large. The color availability is a little different (check the large upgrade listing for a list of colors), but for the most part they're the same thing, only bigger. :) SO... now that you know the difference between standard and large, if anyone has any questions or comments feel free to post them here. If you have an open order that hasn't shipped yet that you'd like to upgrade or if you've already received your order but would like to exchange it for the larger size, please contact me. I can be reached through convo on Etsy or by email at m.zelenka (at) hotmail (dot) com. :)

Saturday, September 25, 2010

CIC Saturday!

Another week, another 9 fabulous colorful finds from the talented Crafting in Color team! :) If you've been paying attention you might notice I'm going with a rainbow theme, one color at a time, and this weeks color is YELLOW of course! Beautiful, bright, sunshine-y yellow! :) Here goes...

and the list of crafty ladies that made all of this week's yellow goodies...

(As always, if you click the shop name you can see everything each artist has for sale, if you click the item name it will take you directly to the item pictured here)

and don't forget to check back next Saturday for another batch of colorful handmade goodies!!

Friday, September 24, 2010

Friday Favorite Finds!!

I missed my Friday Finds post last week but I'm back on the ball and ready to share some amazing Etsy artists this week! :) I have A LOT of plush designers in my favorites because I am a total sucker for stuffed animals. BUT I'm also trying to mix it up a bit realizing all of my readers might not be as wild about squishy little toys as I am. ;) SO this week I share two NON-plush making artists... first up:

I LOVE fun food! I make fun treats every chance I get. But THIS is something I could never do at this skill level. The cookies Linda makes are PHENOMINAL! They don't even look like cookies! In fact, if I had one in front of me I'm not so sure I could bite into it! They're just too pretty! 

My very favorite set... this big bunch of sugary girlie-ness ;)

BUT as a mother to three boys, I can totally appreciate the sheer awesome-ness of these...

I haven't ordered any yet, but I am SO going to! Maybe for Valentine's Day for the boys and I to share. :) She does say in her shop policies that she accepts custom orders so I'm going to have to come up with something super fab. I'll definitely share here when I get them! And if YOU order some, SHOW ME! Leave me a link! I wanna see!

Super awesome Etsy artist number two is the uber-talented...

Seriously. The cards and notepads offered by Wide Sarcasm Sea are hilarious! I've got a few items in my favorites but the very BEST thing, is this TOTALLY RAD birthday card...

*and the inside is even better, get over there and see for yourself!

This card totally reminds me of friend Tricia from junior high, who has sent me some of the THE BEST birthday cards ever. I wish I had found it in time for her birthday this year... but next year! She's so getting this one! ;)

And... that's it for today's rendition of 'Friday Favorite Finds'. See you next week with more super fun finds!

(Please Note: I have been in no way compensated for mentioning these shops. All statements are entirely my own opinion based on my personal tastes)

Tuesday, September 21, 2010


Today is my birthday, so for ONE DAY ONLY (September 21, from 12:00am EST - 11:59pm EST) all of my Lens Pets are 15% off!! If you've been waiting to make a purchase, wait no longer! If you want to add to an order that hasn't shipped yet, just add a message at check out. Once you've paid through Paypal I will refund 15% of your purchase price.

Happy 35th Birthday to me! ;)

Saturday, September 18, 2010

CIC Saturday!

Last week was the first installment of this colorful weekly feature. (see those lovely RED items here) This week I have chosen a mixture of super fun ORANGE items from the other team members. This definitely makes me think FALL! Check it out...

And here are the genious artists behind all of these wonderful pieces

(hint: if you click the shop name you can see everything each artist has for sale, if you click the item name it will take you directly to the item pictured here)

don't forget to check back next Saturday for another batch of colorful handmade goodies!!

Friday, September 17, 2010

-- begin --
[1]
An isolated molecule of Cl2H2 in a non-equilibrium geometry. Source: the OMol25 dataset; level of theory: the ωB97M-V functional and the def2-TZVPD basis.

Values from the calculation:
ΔE to the lowest compared entry with this formula, charge and spin: 708.3 kJ/mol
charge: 0
HOMO level: -0.259 hartree
electronic energy: -25070.24062 eV
F_max: 0.32165 Eh/bohr

```
4
Properties=species:S:1:pos:R:3:lowdin_charge:R:1
H -1.544 1.002 0.013 -0.16
H 1.759 -0.846 0.020 -0.22
Cl -1.027 -0.173 -0.015 0.24
Cl 0.812 0.018 -0.017 0.14
```

=====

[2]
A 2-piece molecular cluster, C4H11N2O overall in a non-equilibrium geometry. Source: the OMol25 dataset; level of theory: the ωB97M-V functional and the def2-TZVPD basis.

Values from the calculation:
ΔE to the lowest compared entry with this formula, charge and spin: 238.0 kJ/mol
charge: 0
HOMO level (spin up / spin down): -0.167 / -0.297 hartree
electronic energy: -9350.05067 eV
multiplicity: 2
F_max: 0.04040 Eh/bohr

```
18
Properties=species:S:1:pos:R:3:lowdin_charge:R:1
O 2.154 0.577 -0.487 -0.25
C 1.906 0.706 0.797 -0.35
C 0.722 1.428 1.386 -0.33
N -0.127 0.492 2.171 -0.03
H 2.564 0.232 1.532 0.08
H 1.110 2.176 2.087 0.09
H 0.198 1.989 0.595 0.09
H -0.904 1.012 2.570 0.05
H -0.553 -0.226 1.594 0.03
C -0.596 -1.379 -1.653 -0.15
C -1.755 -1.877 -1.286 0.04
N -0.192 -0.014 -1.320 0.15
H 0.136 -1.904 -2.249 0.12
H -2.003 -2.884 -1.579 0.07
H -2.443 -1.321 -0.661 0.07
H -0.503 0.704 -1.967 0.16
H -0.592 0.175 -0.399 0.10
H 0.878 0.112 -1.131 0.07
```

=====

[3]
An isolated molecule of C7H7ClS in a non-equilibrium geometry. Source: the OMol25 dataset; level of theory: the ωB97M-V functional and the def2-TZVPD basis.

Values from the calculation:
ΔE to the lowest compared entry with this formula, charge and spin: 194.3 kJ/mol
charge: 0
HOMO level: -0.327 hartree
SMILES: Cl[C@H]1SC2=C3C[C@@H]1C[C@H]32
electronic energy: -30727.05551 eV
F_max: 0.04015 Eh/bohr

```
16
Properties=species:S:1:pos:R:3:lowdin_charge:R:1
Cl -2.227 -1.734 1.780 0.58
C -0.558 -1.235 1.400 -0.88
S 0.461 -2.661 0.690 0.89
C 0.824 -1.977 -0.875 -0.43
C -0.038 -1.103 -1.452 -0.14
C -1.205 -0.402 -0.910 -0.11
C -0.532 -0.034 0.457 -0.36
C 0.934 0.359 0.121 -0.11
C 1.280 -0.540 -1.067 -0.20
H -0.063 -1.021 2.345 0.06
H -1.466 0.499 -1.463 0.12
H -2.085 -1.027 -0.777 0.09
H -1.075 0.787 0.929 0.14
H 1.592 0.191 0.975 0.12
H 0.993 1.413 -0.159 0.12
H 2.094 -0.295 -1.727 0.11
```

=====

[4]
C35H43ClGeN4O3Ti as an isolated structure in a non-equilibrium geometry. Source: the OMol25 dataset; level of theory: the ωB97M-V functional and the def2-TZVPD basis.

Values from the calculation:
ΔE to the lowest compared entry with this formula, charge and spin: 110.7 kJ/mol
charge: +1
HOMO level (spin up / spin down): -0.359 / -0.361 hartree
electronic energy: -141250.35874 eV
multiplicity: 2
F_max: 0.02516 Eh/bohr

```
88
Properties=species:S:1:pos:R:3:lowdin_charge:R:1
Ti -0.159 -0.450 0.202 1.01
C 1.302 4.990 -1.334 -0.04
C 1.634 3.821 -0.611 -0.14
-- stop --
== End of the records of molecules ==

One AMAZING Artist!!

Because I completely forgot to do my Friday Finds post today I'm sharing this instead. While I was sitting down eating some dinner tonight I was surfing Craftgawker looking at some super cool stuff. Through a link to a blog called Ink & Vine Leaves I discovered this INCREDIBLE sculpture artist named Dalton Ghetti! Mr. Ghetti makes micro sculptures... on the tip of a pencil! YES! You read that right... A PENCIL! The same #2 required for filling in those little bubbles on tests in school! These are AMAZING, check it out...

the ENTIRE alphabet!

Misplaced calculated molecules >
____________
No. 1
C14H16F5PdS4 as an isolated structure, computed with ωB97M-V/def2-TZVPD.

ORCA input file:
```
! wB97M-V def2-TZVPD RIJCOSX def2/J DEFGRID3
* xyz -1 1
Pd 0.00 0.00 0.37
C -1.66 -1.29 -2.16
C -1.26 -2.62 -1.51
S -0.02 -2.54 -0.18
C 1.54 -2.64 -1.10
C 1.96 -1.43 -1.93
S 2.20 0.07 -0.93
C 1.66 1.29 -2.16
C 1.26 2.62 -1.51
S 0.02 2.54 -0.18
C -1.54 2.64 -1.10
C -1.96 1.43 -1.93
S -2.20 -0.07 -0.93
H -2.46 -1.49 -2.87
H -0.82 -0.85 -2.68
H -0.91 -3.31 -2.28
H -2.13 -3.08 -1.04
H 1.52 -3.52 -1.75
H 2.27 -2.83 -0.31
H 1.21 -1.21 -2.68
H 2.89 -1.68 -2.45
H 0.82 0.85 -2.68
H 2.46 1.49 -2.87
H 0.91 3.31 -2.28
H 2.13 3.08 -1.04
H -1.52 3.52 -1.75
H -2.27 2.83 -0.31
H -1.21 1.21 -2.68
H -2.89 1.68 -2.45
F 1.84 -1.52 2.75
C 0.88 -0.73 3.35
C 0.00 0.00 2.60
C -0.88 0.73 3.35
F -1.84 1.52 2.75
C -0.91 0.76 4.74
F -1.81 1.50 5.43
C 0.00 0.00 5.44
F 0.00 0.00 6.79
C 0.91 -0.76 4.74
F 1.81 -1.50 5.43
*
```

Values from the calculation:
energy above the lowest of the compared OMol25 structures with the same formula, charge and spin = 29.7 kcal/mol
HOMO energy = -2.06 eV
electronic energy = -75185.31158 eV
Kohn-Sham gap = 0.1678 hartree

No. 2
The molecule C14H16N2OS, computed with ωB97M-V/def2-TZVPD.

ORCA input file:
```
! wB97M-V def2-TZVPD RIJCOSX def2/J DEFGRID3
* xyz 0 1
C -1.89 0.04 -2.37
H -0.94 -0.12 -2.86
H -2.62 0.35 -3.11
H -1.77 0.84 -1.64
C -2.36 -1.24 -1.69
C -1.42 -1.72 -0.61
C -1.81 -2.66 0.29
C -0.91 -3.15 1.30
O -1.11 -3.98 2.15
N 0.36 -2.53 1.22
C 0.65 -1.59 0.29
N -0.17 -1.18 -0.61
S 2.28 -0.94 0.36
C 2.17 0.39 -0.87
C 1.29 1.53 -0.46
C 0.61 2.24 -1.44
C -0.20 3.31 -1.09
C -0.35 3.69 0.24
C 0.35 2.98 1.21
C 1.15 1.91 0.86
H 1.69 1.37 1.64
H 0.25 3.26 2.25
C -1.23 4.84 0.63
H -0.69 5.54 1.27
H -2.09 4.47 1.18
H -1.59 5.37 -0.25
H -0.72 3.86 -1.86
H 0.71 1.96 -2.47
H 3.20 0.72 -1.00
H 1.82 -0.07 -1.80
H 1.05 -2.82 1.90
H -2.80 -3.07 0.28
H -3.35 -1.09 -1.24
H -2.45 -2.03 -2.43
*
```

Values from the calculation:
energy above the lowest of the compared OMol25 structures with the same formula, charge and spin = 2.2 kcal/mol
HOMO energy = -8.67 eV
electronic energy = -30641.61669 eV
SMILES string = CCc1cc(=O)[nH]c(SCc2ccc(C)cc2)n1
Kohn-Sham gap = 0.3405 hartree

No. 3
The molecule C14H16N6O3 in a non-equilibrium geometry, computed with ωB97M-V/def2-TZVPD.

ORCA input file:
```
! wB97M-V def2-TZVPD RIJCOSX def2/J DEFGRID3
* xyz 0 1
N -3.57 -1.17 -2.68
O 2.33 0.44 0.15
O 2.39 -4.18 1.29
N -1.57 -0.86 -1.20
N -1.84 1.49 -1.14
N -2.63 -0.99 -1.95
O 0.76 -2.60 1.83
C 1.25 -0.01 -0.26
C 1.77 -3.14 1.09
C -1.06 0.44 -1.05
C -0.63 4.89 -0.18
C 0.69 4.52 0.13
C -1.53 3.91 -0.66
C 1.11 3.17 0.00
C -1.09 2.60 -0.79
C 0.20 2.18 -0.45
N 0.23 0.82 -0.64
N 1.18 -1.36 -0.52
C 2.23 -2.31 -0.13
C -2.16 -2.54 1.48
C 0.37 -3.30 3.05
C -2.14 -3.56 2.60
C -0.78 -4.28 2.82
H -1.02 5.89 -0.08
H 1.36 5.30 0.52
H -2.55 4.16 -0.96
H 2.08 2.87 0.33
H 0.25 -1.75 -0.47
H 2.42 -3.01 -0.95
H 3.15 -1.76 0.05
H -1.60 -1.63 1.75
H -1.71 -3.01 0.61
H -3.17 -2.26 1.21
____________
End of the calculated molecules >

I can't decide if that saw or that teeny tiny hammer is my favorite

the detail is STUNNING! you can see the tiny 'holes' for the laces people!!

you've got mail! ;)

how unbelievable is this one?! how do you sculpt two hearts linked together like that?!?! WOW!

Tell me you are not picking your jaw up off the floor right now! I have never seen anything like this and I am just completely blown away by its absolute sheer awesome-ness! :)

So... have you seen anything amazing lately???

_Unrelated to this page: molecular data_
[1]
{
  "formula": "C4H8ClNO",
  "method": "wB97M-V/def2-TZVPD",
  "energy_ev": -20332.8154,
  "homo_lumo_gap_ev": 9.248,
  "lumo_ev": 0.298,
  "e_above_lowest_ev": 4.9355,
  "spin_multiplicity": 1,
  "e_homo_ev": -8.950,
  "max_force_ev_per_a": 4.07,
  "species": ["Cl", "O", "N", "C", "C", "C", "C", "H", "H", "H", "H", "H", "H", "H", "H"],
  "positions_angstrom": [[-1.01178, -1.40504, 2.56249], [2.06856, -1.37823, -0.99039], [0.50767, -1.47127, 1.75545], [-0.65719, 0.88492, 0.49551], [0.23938, -0.26881, 0.06047], [1.63294, -0.17423, -0.43814], [-1.10438, -0.27935, -0.39874], [-1.16049, 0.01419, -1.46617], [-1.85548, -0.98049, -0.16081], [1.85095, 0.46826, -1.30095], [-0.41956, 1.92031, 0.11865], [-0.85774, 0.92909, 1.54999], [2.21496, 0.23842, 0.44468], [0.77416, -2.40169, 1.48058], [2.06914, -1.85874, -0.17264]],
  "forces_ev_per_angstrom": [[0.3810, -0.8023, -0.2062], [0.4457, -0.5568, 0.8406], [-0.0145, 3.5491, -1.9870], [1.3867, 0.0053, -0.6181], [1.0439, -0.2700, 3.7955], [0.2590, 1.4918, -0.5040], [-0.3661, 1.7770, -2.0980], [-0.1054, -0.2551, 0.5359], [-0.5407, -0.6952, 0.7593], [-0.9729, 0.8801, 0.4772], [-0.3639, -1.4311, -0.1151], [-0.4821, -0.4040, 0.1834], [-0.2021, -0.7751, -0.9641], [-0.9205, -0.7835, -0.2534], [0.4519, -1.7304, 0.1540]],
  "lowdin_charge": [0.51, -0.03, -0.43, -0.10, -0.26, -0.27, -0.12, 0.13, 0.08, 0.14, 0.12, 0.05, 0.15, -0.02, 0.05]
}

***

[2]
{
  "formula": "C4H8ClNO2",
  "method": "wB97M-V/def2-TZVPD",
  "energy_ev": -22382.6514,
  "smiles": "[H]/N=C(\\[C@@H](C)O)[C@@H](O)Cl",
  "homo_lumo_gap_ev": 9.774,
  "lumo_ev": -0.456,
  "e_above_lowest_ev": 2.4529,
  "spin_multiplicity": 1,
  "e_homo_ev": -10.230,
  "max_force_ev_per_a": 4.28,
  "species": ["Cl", "O", "O", "N", "C", "C", "C", "C", "H", "H", "H", "H", "H", "H", "H", "H"],
  "positions_angstrom": [[-3.15424, 1.08562, 0.93613], [-2.84154, -1.55960, 0.05450], [1.75109, -0.58806, -0.39616], [-0.47896, -2.12042, 0.06002], [-0.60102, -0.92530, -0.33901], [-2.14227, -0.51594, -0.18267], [0.23144, 1.28032, 0.15495], [0.53265, 0.00672, -0.70841], [-2.57734, -0.13944, -1.15146], [1.08657, 1.93910, 0.08728], [-0.06878, 1.00892, 1.09304], [0.54316, 0.32868, -1.81546], [0.53937, -2.37863, -0.00889], [-2.46883, -2.06955, 0.80688], [1.66975, -0.51355, 0.64143], [-0.51691, 1.69260, -0.40776]],
  "forces_ev_per_angstrom": [[1.6730, -1.2691, -0.6749], [-1.6903, -1.9506, 2.0084], [-0.1125, 0.1358, 3.3568], [2.0759, 0.1239, -0.0901], [-1.4943, -0.0516, 1.4647], [-0.3758, 2.0940, -3.4888], [2.8125, -1.2069, -2.9858], [-1.0369, 1.6555, -0.9190], [0.9338, 0.3665, 1.0316], [0.2294, 0.1267, 0.3812], [-0.6989, -0.3441, 2.5741], [-0.0957, -0.7756, 1.5939], [-1.0933, 0.0531, -0.1272], [0.0570, 0.0141, -0.6439], [1.1285, -0.5832, -2.7688], [-2.3124, 1.6115, -0.7122]],
  "lowdin_charge": [0.20, -0.03, -0.05, 0.17, -0.26, -0.46, -0.03, -0.40, 0.12, 0.10, 0.05, 0.18, 0.10, 0.13, 0.17, 0.04]
}

***

[3]
{
  "formula": "C4H8ClP",
  "method": "wB97M-V/def2-TZVPD",

Saturday, September 11, 2010

CIC Saturday!

Another new weekly feature! This one will run in conjunction with some of  the other Crafting in Color team members on Etsy. Each Saturday I will choose a handful of some of my favorite goodies from other CIC team members. I decided I'm going to choose a different color to feature each week (because I'm OCD like that) and this week the items I'll be sharing  are bright, beautiful RED! AND since 3 is my very favorite number, I decided to make a collage with three rows of three. Besides I can share loads more of the fun stuff this way! ;) So here it is, the very first official CIC Saturday share!

Left to right, starting from the top left corner, here are the brilliant crafters that made all of these beautiful items...

(hint: if you click the shop name you can see everything each artist has for sale, if you click the item name it will take you directly to the item pictured here)

don't forget to check back next Saturday for another batch of colorful handmade goodies!!

Friday, September 10, 2010

Friday Favorite Finds!!

Week Two of my new feature, Friday Favorite Finds!! I do have plans for other weekly features, just haven't had the time to put them into action yet. So be on the lookout, they're coming soon!

Ok... on with the fabulousness of Friday Finds! ;)

This week I went in search of handmade artists on Facebook and made friends with a bunch of awesome talented people. My first favorite find today is an artist who I not only found on Facebook, but is also on the Crafting in Color Etsy team with me!

She makes the most AMAZING jewelry using paper of all things!! This is definitely a unique find and something you have to see for yourself! I haven't made my first purchase (YET! that is) but I have a number of items in my favorites that WILL be joining my family sooner, rather than later. ;) Here are a couple of lovely things from Paper Demon Jewelry...

she has a number of different color combos available in this style but I LOVE the red/orange/yellow together!

ok, yes I like orange! ;) again, she has a few different colors of this particular style of necklace, but I love the orange paired with the copper wire. and remember... that orange background is PAPER! So cool!!

Definitely check out her Etsy shop and follow her on Facebook to keep up with all the new goodies she has to offer!

It's no secret that I'm a fan of BRIGHT, splashy, fun COLOR. This shop most definitely fits the bill! Amazing artwork in the most brilliant colors and the amount of detail in each piece just astounds me!! Not to mention you can order prints or cards without breaking the bank. I think Santa may be ordering a few prints for me this year. ;) They would be just lovely brightening up my desk area! It's possible I may actually have the entire shop contents in my favorites, so it was very hard for me to narrow it down here. But because this one is just full of color from corner to corner and edge to edge, it's got to be my #1 favorite!!

click on that bad boy and check out the DETAIL! It's positively stunning!!

I wasn't able to find a Facebook page for B Connor Design, but I'm thinking she needs to get one going so all her fans can gather in one place!! :) I'm first in line!

And... that's it for today's rendition of 'Friday Favorite Finds'. See you next week with more super fun finds!

(Please Note: I have been in no way compensated for mentioning these shops. All statements are entirely my own opinion based on my personal tastes)

P.S. I completely forgot to mention last week that you can find The Jae Bird on Facebook. Go 'LIKE' her! She's awesome!

Saturday, September 4, 2010

Lens Pet MINIS!!

THIS is the big thing I hinted at a couple weeks ago! A new addition to the Lens Pet™ line for all you point and shoot users out there, Lens Pet™ Minis! I've added 8 designs to the shop and they're all ready and available to ship right away! I'll be adding more as I make them, but as always I'm happy to offer custom designs (contact me for color availability).  This new mini size Lens Pet™ will fit a variety of point and shoot type camera lens sizes. It will not fit ALL P&S cameras, some lenses are too small even for this tiny guy. If your mini arrives and you find it does not fit your camera please contact me. As always I will do everything in my power to make sure the customer is happy with the purchase. :) FYI: when in use, this Lens Pet™ mini may interfere with the on board flash, depending on the layout of your camera. To avoid having an issue, only use your Lens Pet™ mini in daylight/brightly lit areas to avoid the need for a flash.

A few of the minis match their standard counterparts, but some are all new designs!!

I hope everyone likes them! :) I for one am a fan of anything tiny and these definitely fit the bill! ;)

Friday, September 3, 2010

Friday Favorite Finds!!

I decided I wanted to start posting some regular weekly features here and since this was the first feature that came to my mind, I decided it should be the first. to be posted Unfortunately I completely forgot it was Friday until just now, so I'm sneaking it in with just a couple hours left in the day.

Every Friday I will chose a handful of sellers and/or items from my Favorites folder on Etsy! I have QUITE a large folder of favorites so we should be able to keep this up indefinitely! ;) Hopefully it will inspire all of you to support the artisans of Etsy and buy handmade!

This week I'm going to share two sellers whose goodies have recently found their way into my home. They sell super cool AWESOME things! ;) Ready, set, go...

  • TheJaeBird: Amazing, top notch quality. (and the seller is totally sweet) :)
she makes THE CUTEST little one of a kind plush monsters and I am totally and completely head over heels with her line of Little Uggles.  I try not to buy things I don't really really NEED, I try really hard (ok maybe not that hard)... but I tripped into her shop on a stroll around Etsy one afternoon and haven't been able to leave! And the rainbow colored fur of Gretchen had me hooked from the minute I saw her. I mean seriously... how could you resist this face?!?!?

Yeah, I know, right?! Now she lives on top of my computer monitor where I can look at that wild rainbow-y hair every day! SO... if you need a monster, or someone you know needs a monster, or maybe you know someone who doesn't really NEED a monster but might maybe just LIKE a monster... go see The Jae Bird!

  • ButtFreckle: seriously... if that name doesn't get you, the product will!
I have always had a thing for stuffed animals. The more unique the better. And BRIGHT colors are totally my thing so you'll probably see that theme quite often too! I'm not even sure how I found this shop but OMG if it didn't have me rolling. BUTTFRECKLE?! Really?!? The things she sells are actually just called Freckles, but the name ButtFreckle comes from the fact that each one has a special glass bead sewn on the rear. ;) I don't have mine yet, but he should be on the way and soon he'll join Gretchen on top of my computer monitor.

The BEST thing about these cute little balls of fluff... each one has a different name. Seriously. And some of those names are down right hysterical!! Like my friend here... his name... CANDY FACE SUGAR CAPUCHIN. I'd say it's pretty fitting, wouldn't you?! ;) So if you work in a boring blah cubicle, or a big fancy office... and you need a little fun to brighten up your desk that won't take up too much space (and can be hidden in a drawer during important meetings with your boss), I recommend you check out Buttfreckle!

So that's it for my first Friday Favorite Finds! Don't forget to check back next week for more super cool Etsy goodness! :)

(Please Note: I have been in no way compensated for mentioning these shops. All statements are entirely my own opinion based on my personal tastes and recent purchases)

Wednesday, September 1, 2010


I'm SO excited about this one!! I've been hanging on to these awesome tie dye scrunchies for MONTHS! I finally decided to squeeze a couple in while I was working on orders last night and I love how they turned out! I only have a handful of these scrunchies and I'm not sure if I'll be able to get more so I think I definitely need to keep one for myself! ;) I just LOVE the bright colors! If that's not eye catching I don't know what is!!

ETA: these three designs have all sold, but I will be listing more soon so keep your eyes peeled!

Introducing... PETE, the parrot! ;)

and one of my best selling designs, the crazy face


That said, some of you may be wondering if this is the new addition to the line I mentioned a week or two ago... and the answer to that is, NO! I still have something else up my sleeve! :)